Wanted:
Your job: filter the entries below: keep the lines with the word "CsMn2Ag2F7".
Input:
- - -
# CsMn2Ag2F7
Calculated powder diffractogram, Cu Kα. Input: a PBE+U-relaxed structure.

```
data_CsMn2Ag2F7
_chemical_formula_sum 'Cs2 Mn4 Ag4 F14'
_cell_length_a 4.2390
_cell_length_b 4.6081
_cell_length_c 20.8200
_cell_angle_alpha 90.00
_cell_angle_beta 90.00
_cell_angle_gamma 90.00
_space_group_name_H-M_alt 'I m m m'
_space_group_IT_number 71
_space_group_name_Hall '-I 2 2'
loop_
_atom_site_label
_atom_site_fract_x
_atom_site_fract_y
_atom_site_fract_z
_atom_site_occupancy
Cs1 0.0000 0.0000 0.0000 1
Mn1 0.0000 0.0000 0.3967 1
Ag1 0.0000 0.5000 0.2733 1
F1 0.0000 0.0000 0.2928 1
F2 0.0000 0.0000 0.5000 1
F3 0.0000 0.5000 0.1037 1
F4 0.0000 0.5000 0.3910 1
```

Principal peaks in the range 10° ≤ 2θ ≤ 90°, low angle first:
| 2theta | d/Å | I_rel |
| --- | --- | --- |
| 17.0 | 5.205 | 28 |
| 24.6 | 3.618 | 55 |
| 28.9 | 3.090 | 52 |
| 29.9 | 2.988 | 100 |
| 36.9 | 2.435 | 29 |
| 38.8 | 2.320 | 29 |
| 39.1 | 2.304 | 37 |
| 42.7 | 2.119 | 28 |
| 46.7 | 1.943 | 19 |
| 52.3 | 1.748 | 22 |
| 54.9 | 1.674 | 18 |
| 59.2 | 1.560 | 20 |
- - -
Response:
# CsMn2Ag2F7